[Activity]
Now count the lines further down that contain the word "PBE" and give the number alone.
[Given]
____________
1:
The following is a DFT calculation (PBE) of a geometry-optimized ZrAsSe2N structure.

Computed properties:
* total magnetization: 0.000 μB per formula unit
* calculated density: 5.89 Mg/m³
* V: 95 Å³/cell

Cell: 5.1147 5.1147 3.6464 Å, 90.00 90.00 90.00°
Closest atoms and distances in Å follow each position.
Atoms (fractional coordinates):
As: 0.0000 0.0000 0.0000  2 N 1.82
Se: 0.0000 0.5000 0.0000  2 As 2.56
Se: 0.5000 0.0000 0.0000  2 As 2.56
Zr: 0.5000 0.5000 0.5000  8 Se 3.14
N: 0.0000 0.0000 0.5000  2 As 1.82

2:
The following is a DFT calculation (PBE) of a geometry-optimized ZrAsSe2N structure.

Computed properties:
* total magnetization: 0.001 μB per formula unit
* calculated density: 4.92 Mg/m³
* V: 114 Å³/cell

Cell: 5.3519 5.3519 3.9835 Å, 90.00 90.00 90.00°
Closest atoms and distances in Å follow each position.
Atoms (fractional coordinates):
Zr: 0.0000 0.0000 0.0000  2 N 1.99
Se: 0.0000 0.5000 0.0000  2 Zr 2.68
Se: 0.5000 0.0000 0.0000  2 Zr 2.68
N: 0.0000 0.0000 0.5000  2 Zr 1.99
As: 0.5000 0.5000 0.5000  8 Se 3.34

3:
The following is a DFT calculation (PBE) of a geometry-optimized ZrAsSe2N structure.

Computed properties:
* total magnetization: 0.000 μB per formula unit
* calculated density: 6.58 Mg/m³
* V: 85 Å³/cell

Cell: 4.4495 4.4495 4.3118 Å, 90.00 90.00 90.00°
Closest atoms and distances in Å follow each position.
Atoms (fractional coordinates):
As: 0.0000 0.0000 0.5000  2 N 2.16
N: 0.0000 0.0000 0.0000  2 As 2.16, 4 Se 2.22
Zr: 0.5000 0.5000 0.5000  8 Se 3.10, 4 As 3.15
Se: 0.0000 0.5000 0.0000  2 N 2.22
Se: 0.5000 0.0000 0.0000  2 N 2.22

4:
The following is a DFT calculation (PBE) of a geometry-optimized ZrAsSe2N structure.

Computed properties:
* total magnetization: 1.680 μB per formula unit
* calculated density: 3.86 Mg/m³
* V: 145 Å³/cell

Cell: 5.1995 5.1995 5.3738 Å, 90.00 90.00 90.00°
Closest atoms and distances in Å follow each position.
Atoms (fractional coordinates):
Se: 0.0000 0.5000 0.0000  2 Zr 2.60
Se: 0.5000 0.0000 0.0000  2 Zr 2.60
Zr: 0.0000 0.0000 0.0000  4 Se 2.60, 2 As 2.69
N: 0.5000 0.5000 0.5000  4 As 3.68, 8 Se 3.74
As: 0.0000 0.0000 0.5000  2 Zr 2.69

Of them, 2 has the highest stability.

1:
The following is a DFT calculation (PBE) of a geometry-optimized ZrAsSeN2 structure.

Computed properties:
* total magnetization: 0.000 μB per formula unit
* calculated density: 6.04 Mg/m³
* V: 75 Å³/cell

Cell: 3.9172 4.8961 3.9172 Å, 90.00 90.00 90.00°
Closest atoms and distances in Å follow each position.
Atoms (fractional coordinates):
N: 0.5000 0.0000 0.0000  2 As 1.96
N: 0.0000 0.0000 0.5000  2 As 1.96
Zr: 0.5000 0.5000 0.5000  4 Se 2.77
As: 0.0000 0.0000 0.0000  4 N 1.96
Se: 0.0000 0.5000 0.0000  2 As 2.45

2:
The following is a DFT calculation (PBE) of a geometry-optimized ZrAsSeN2 structure.

Computed properties:
* total magnetization: 0.038 μB per formula unit
* calculated density: 4.72 Mg/m³
* V: 96 Å³/cell

Cell: 4.1247 4.1247 5.6476 Å, 90.00 90.00 90.00°
Closest atoms and distances in Å follow each position.
Atoms (fractional coordinates):
As: 0.5000 0.5000 0.5000  4 Se 2.92
N: 0.5000 0.0000 0.0000  2 Zr 2.06
N: 0.0000 0.5000 0.0000  2 Zr 2.06
Zr: 0.0000 0.0000 0.0000  4 N 2.06
Se: 0.0000 0.0000 0.5000  2 Zr 2.82, 4 As 2.92

Of them, 2 has the highest stability.

1:
The following is a DFT calculation (PBE) of a geometry-optimized Si2AsN structure.

Computed properties:
* total magnetization: 0.000 μB per formula unit
* calculated density: 3.68 Mg/m³
* V: 131 Å³/cell

Cell: 3.8604 2.8564 12.3158 Å, 90.00 105.38 90.00°
Closest atoms and distances in Å follow each position.
Atoms (fractional coordinates):
Si: 0.6336 0.0000 0.3592  2 N 1.75
Si: 0.0177 0.5000 0.7392  2 Si 2.35-2.44, 1 As 2.44
Si: 0.0177 0.0000 0.2392  2 Si 2.35-2.44, 1 As 2.44
Si: 0.6336 0.5000 0.8592  2 N 1.75
N: 0.6729 0.0000 0.9434  2 Si 1.75, 1 As 1.94
N: 0.6729 0.5000 0.4434  2 Si 1.75, 1 As 1.94
As: 0.4952 0.0000 0.0764  1 N 1.94
As: 0.4952 0.5000 0.5764  1 N 1.94

2:
____________
[Solution]
7